Last updated: February 27, 2024
While reading about the Thoroughbred foundation stallion, the Godolphin Arabian, I learned he may have been a barb. Since I wasn’t really familiar with this breed I researched its history and uses and found a lot of interesting information.
The Barb horse is one of the oldest equine breeds in the world. They are known for their versatility, stamina, strength, and intelligence. Originating in northern Africa, they are closely associated with the Berber and Amazigh peoples of the Maghreb.
The Barb Horse is a breed that has been around for centuries. They come in different colors and have some unique characteristics, but what exactly do we know about them? In this blog post, I will explore the history of these amazing animals as well as their characteristics.

Barb horse history and origins
It is widely accepted that Barb horses originated on the northern coast of Africa. They were made famous by the Berbers, often called Moors, who invaded Europe riding the Barb horses.
These tough, agile, and brave horses, which were often said to have the “heart of a lion” outran and outmaneuvered the big slow horses ridden by European knights. In 711 the Moors conquered Spain, primarily because of the tenacity of the barb horses.
After the Moorish invasions of Spain came to an end, the Barb continued to be prized by the Spanish aristocracy. The Spanish nobles often used the Barb, and it soon became a popular breed in Spain and Portugal.
The characteristics of Barb horses were recognized and valued by Europeans, and they were bred to various horses on the continent creating new breeds, that were smaller, faster, and more intelligent than the large warhorse that populated most of the regions.
Was the Godolphin Arabian really a Barb?
When Barb horses were introduced to Europe, they were often mistaken for Arabian Horses. However, they didn’t share many physical characteristics with their equine counterparts from the “Middle East.”
This brings me back to the confusion about the great sire the Godolphin Arabian. In most historical writings he is listed as an Arabian with a caveat that he could be a Barb. However, the reason why the Barbs were called Arabian was due in part because of their similar size when compared to the standard large horses found in Europe at the time.
European people often referred to small foreign horse breeds as Arabs, even though they may have originated from somewhere else entirely. After reading all of the information I found, it seems that Godolphin Arabian was most likely a Barb.
Characteristics of Barb Horses
The Barb is a powerful light-riding horse characterized by its strong neck and chest, high withers, and muscular build. The Barb is an excellent horse for western riding disciplines such as barrel racing and roping.
It is also a popular choice for endurance riding and trail riding due to its sure-footedness and stamina. The Barb is known for its intelligence and willingness to please, making it an excellent choice for beginners and experienced riders.
- Height: On average they are about 14-15 hands (1.47-1.57 meters) at the withers.
- Weight: The average weight of the horses is between 900-1000lbs.
- Colors: They can be found in multiple colors such as gray, black, brown, and chestnut.
- Temperament: Barbs are known to be docile, gentile, and willing to learn. You will commonly find them being used for general riding and equestrian games.
- Life expectancy: The life expectancy of this breed is anywhere between 20-25 years.
- Health issues: Barb horses have no breed-specific health issues associated and are hardy horses that can survive the extreme conditions in Africa. Much like other horses, they feed on grass, shrubs, hay, grain, and plants.
Here’s more detailed information about the physical characteristics of Barb horses:
- Tail: The Barb is a horse breed with a low-set tail. They’re easy to identify because of this characteristic trait, which makes them different from other breeds like Saddlebreds or Arabs which have high tail sets.
- Size: Some Barb horses are so small that can be mistaken for being a pony. While they are often confused with one another, there are significant differences between ponies and horses.
- Hooves: The hooves of a Barb are very different from those of other breeds. They’re typically boxier in shape and much stronger, with fewer issues related to pain or soreness when compared to the feet of many other equine breeds.
- Legs: The barb horse has powerful legs attributed to its short, strong bones and tough tendons. Good feet and legs are desirable attributes in all horses and likely is the reason they were used in the development of so many breeds.

Barb Horse
Bay Barb horse dressed for a fantasia, in Tozeur, Tunisia Africa.
Uses for Barb Horses
Barb horses have been utilized since ancient times. With versatility and adaptability, this breed is excellent for many different equine purposes. Some examples of things the Barb horse excels in include:
Equestrian Games
The Barb is a horse that can be found in many different types of equestrian events, including polo. They possess the stamina needed for this fast-paced sport and it’s what allows them to participate so frequently at high levels.
The Barb is known for its incredible stamina and can travel great distances in just one day. With some training, these horses are excellent endurance athletes that will not give up until the task at hand has been completed.
The Barb is often used for ceremonial purposes in countries like Morocco and Algeria. They are decorated with ornate saddles that contain semi-precious gems to show off their owner’s wealth during ceremonies or performances riding on them which take place exclusively within the borders where they originated.
Pleasure Riding
One of the most popular uses for Barb horses is pleasure riding. They can be seen in both English and Western styles, but it’s more common to see them ridden with western tack.
Unrelated to this piece: materials data:
********
# Sr2Li3TaN4 PBE relaxed
# Calculated formation energy, eV per atom: -1.06
# Theoretical density, Mg/m³: 5.17
data_Sr2Li3TaN4
_space_group_name_H-M_alt 'P n n m'
_space_group_IT_number 58
_cell_length_a 8.743
_cell_length_b 9.036
_cell_length_c 7.041
_cell_angle_alpha 90.00
_cell_angle_beta 90.00
_cell_angle_gamma 90.00
loop_
_space_group_symop_operation_xyz
'x,y,z'
'-x,-y,-z'
'-x,-y,z'
'x,y,-z'
'x+1/2,-y+1/2,-z+1/2'
'-x+1/2,y+1/2,z+1/2'
'-x+1/2,y+1/2,-z+1/2'
'x+1/2,-y+1/2,z+1/2'
loop_
_atom_site_label
_atom_site_type_symbol
_atom_site_fract_x
_atom_site_fract_y
_atom_site_fract_z
Sr1 Sr 0.000 0.000 0.240
Sr2 Sr 0.242 0.246 0.500
Li1 Li 0.019 0.635 0.262
Li2 Li 0.206 0.577 0.500
Ta1 Ta 0.214 0.363 0.000
N1 N 0.047 0.216 0.000
N2 N 0.074 0.779 0.500
N3 N 0.198 0.481 0.234
********
The Barb is the foundation of many popular horse breeds, including Thoroughbreds. The strong build and white markings on their face have been influential in horses such as mustangs, the American quarter horse, and appaloosas who exhibit traits of their Barb ancestors.
Pros and Cons of owning a Barb Horse
Like with most great things, there usually is a downside. The Barb horse has many great qualities but there are a few negative things that you must be aware of when dealing with Barb horses. Here are some pros and cons of owning a Barb Horse.
- Stamina – As I stated earlier, these horses have amazing endurance and are great for long treks.
- Adaptability – Barb horses are a jack of all trades. You can do many things with Barb horses and they are very eager to learn new things to adapt to any situation.
- Hardy – Although this is a small breed, they are very strong. They are desert horses exposed to harsh environments which over time have evolved them into tank-like horses.
- Breeding – Barbs are the reason we have many other types of breeds today. Thoroughbreds, quarter horses, and many more have come from selective breeding of the Barb horse.
- Eagerness to learn – Barbs are known to be slightly temperamental but once accustomed to you, they are very eager to learn. From racing to ceremonial demonstrations, this breed loves to learn new things.
- Expensive – Although Barbs are not one of the most expensive breeds, horses in general are expensive. Between purchase price, food, maintenance, and the land to keep them on, be ready to spend thousands of dollars if you are looking to buy a Barb horse.
- Not good for children – I know this contradicts what I wrote earlier, however with proper training Barb’s make excellent children’s horses, but inexperienced riders and an untrained Barb are dangerous.
_Next to the page, the page also holds calculated crystals_
- - -
# TmGa3 meta-GGA r2SCAN optimized geometry
data_TmGa3
_chemical_formula_sum 'Tm2 Ga6'
_cell_length_a 6.1709
_cell_length_b 6.1709
_cell_length_c 4.4782
_cell_angle_alpha 90.00
_cell_angle_beta 90.00
_cell_angle_gamma 120.00
_space_group_name_H-M_alt 'P 63/m m c'
_space_group_IT_number 194
_space_group_name_Hall '-P 6c 2c'
loop_
_atom_site_label
_atom_site_type_symbol
_atom_site_fract_x
_atom_site_fract_y
_atom_site_fract_z
Tm1 Tm 0.3333 0.6667 0.2500
Ga1 Ga 0.1478 0.2955 0.7500
# Magnetic moment: 0.000 μB/atom
# Final energy: -17.908 eV per atom

=====

# Tm2ZnGa meta-GGA r2SCAN optimized geometry
data_Tm2ZnGa
_chemical_formula_sum 'Tm8 Zn4 Ga4'
_cell_length_a 6.982
_cell_length_b 6.982
_cell_length_c 6.982
_cell_angle_alpha 90.00
_cell_angle_beta 90.00
_cell_angle_gamma 90.00
_space_group_name_H-M_alt 'F m -3 m'
_space_group_IT_number 225
_space_group_name_Hall '-F 4 2 3'
loop_
_atom_site_label
_atom_site_type_symbol
_atom_site_fract_x
_atom_site_fract_y
_atom_site_fract_z
Tm1 Tm 0.250 0.250 0.250
Zn1 Zn 0.000 0.000 0.000
Ga1 Ga 0.000 0.000 0.500
# Magnetic moment: 0.000 μB/atom
# Final energy: -23.194 eV per atom

=====

# UGa3 meta-GGA r2SCAN optimized geometry
data_UGa3
_chemical_formula_sum 'U1 Ga3'
_cell_length_a 4.269
_cell_length_b 4.269
_cell_length_c 4.269
_cell_angle_alpha 90.00
_cell_angle_beta 90.00
_cell_angle_gamma 90.00
_space_group_name_H-M_alt 'P m -3 m'
_space_group_IT_number 221
_space_group_name_Hall '-P 4 2 3'
loop_
_atom_site_label
_atom_site_type_symbol
_atom_site_fract_x
_atom_site_fract_y
_atom_site_fract_z
U1 U 0.000 0.000 0.000
Ga1 Ga 0.000 0.500 0.500
# Magnetic moment: 0.622 μB/atom
# Final energy: -28.955 eV per atom

=====

# V8Ga41 meta-GGA r2SCAN optimized geometry
data_V8Ga41
_chemical_formula_sum 'V24 Ga123'
_cell_length_a 13.8435
_cell_length_b 13.8435
_cell_length_c 14.7771
_cell_angle_alpha 90.00
_cell_angle_beta 90.00
_cell_angle_gamma 120.00
_space_group_name_H-M_alt 'R -3'
_space_group_IT_number 148
_space_group_name_Hall '-R 3'
loop_
_atom_site_label
_atom_site_type_symbol
_atom_site_fract_x
_atom_site_fract_y
_atom_site_fract_z
V1 V 0.0000 0.0000 0.1849
V2 V 0.0140 0.3103 0.5988
Ga1 Ga 0.0000 0.0000 0.0000
- - -
- Critically rare – Although this breed is not considered an endangered species, it is listed by The American Livestock Breeds Conservancy and The Equus Survival Trust as critically rare, which means they are considered to be threatened with extinction.
- Small in stature – Barb horses are typically less than 15 hands and many are under 14 which is extremely short compared to other breeds.
Are Barbs and Arabians the same?
The short answer to this is no, they are not the same. There is actually a debate on which horse breed came first. Some say that the Arabian breed came first due to the influence the breed has had on the Barb horse breed.
Wrap up
Barb horses are a North African breed that has a long and colorful history. They are known for their gentle disposition, intelligence, and willingness to please. Their coat colors can range from bay to black, and their average height is 14.3 hands. If you’re interested in owning a Barb horse, be sure to do your research first to find a reputable breeder. These horses make excellent companions and partners for riders of all levels of experience.
Below is an interesting YouTube video about the Barb horse breed.
Are Barb horses fast?
Barb horses are fast, they are generally considered to be one of the quickest breeds but they can’t reach the top speed of Thoroughbreds or the explosiveness of quarterhorses. Barb horses are also known for their sure-footedness and stamina, making them ideal for long-distance travel.
Are Barb horses rare?
Barb horses are rare, they are categorized by the American Livestock Breeds Conservancy and The Equus Survival Trust as a critically rare horse breed.